Request >
Say how many lines of the notes underneath hold the word "atoms", as a bare number.

Material >
~~~
(1)
Here is 10 unconnected molecules or ions with the total composition C29H43Cl27NO2Si in a non-equilibrium geometry from OMol25. Energies are from the ωB97M-V functional and the def2-TZVPD basis.

CARTESIAN COORDINATES (ANGSTROEM)
C -2.5639 2.4507 2.4052
Si -2.7377 0.5746 2.1528
C -4.4014 0.0349 2.9025
C -1.2624 -0.2417 3.0028
C -0.4679 -1.2417 2.1231
C 1.0452 -1.0534 2.2888
C 1.4975 0.3884 1.9274
C 2.4296 0.3922 0.6995
C 2.6642 1.7834 0.0941
C 3.3533 2.8112 0.9997
C 2.4135 3.5066 1.9975
N 1.3273 4.2155 1.3365
C 0.6595 5.0189 2.3275
C 0.9422 6.5449 2.2177
C 2.4020 6.8893 1.9624
C 2.8452 6.6710 0.5189
O 2.1170 6.7098 -0.4472
O 4.1877 6.3903 0.3249
C -2.8059 0.3005 0.2814
C -3.6530 -0.6011 -0.3567
C -3.6999 -0.7350 -1.7338
C -2.8765 0.0620 -2.5149
C -2.0113 0.9474 -1.9105
C -1.9870 1.0580 -0.5430
H -3.4073 2.9785 1.9395
H -1.6597 2.7460 1.8504
H -2.4821 2.7227 3.4621
H -4.9108 0.9365 3.2609
H -5.0365 -0.4469 2.1489
H -4.2624 -0.6831 3.7191
H -0.6463 0.5646 3.4229
H -1.6479 -0.7867 3.8802
H -0.6843 -2.2372 2.5260
H -0.7696 -1.2686 1.0729
H 1.5952 -1.7362 1.6176
H 1.3853 -1.3232 3.3009
H 2.0715 0.7929 2.7684
H 0.6337 1.0440 1.7635
H 1.9433 -0.2323 -0.0727
H 3.3774 -0.0864 0.9890
H 1.7454 2.2126 -0.3238
H 3.3344 1.6298 -0.7734
H 3.7540 3.6030 0.3490
H 4.2232 2.4104 1.5509
H 1.9923 2.8264 2.7738
H 3.0435 4.2548 2.5541
H -0.4419 4.8720 2.2756
H 0.9569 4.7195 3.3644
H 0.6791 6.9850 3.2007
H 0.2871 7.0464 1.4968
H 3.0841 6.4229 2.6861
H 2.5168 7.9771 2.1336
H 4.5999 6.4801 1.1960
H -4.3410 -1.2322 0.2067
H -4.4088 -1.4395 -2.2164
H -2.9480 -0.0269 -3.5975
H -1.3831 1.5588 -2.5546
H -1.3048 1.7969 -0.1190
C -0.0610 -3.5931 -1.3780
Cl 1.6798 -3.4410 -1.6708
Cl -0.3463 -4.2240 0.2492
Cl -0.8651 -2.0425 -1.6282
H -0.4694 -4.3040 -2.0862
C 0.5452 -1.6790 -5.4593
Cl 0.3040 -3.1887 -4.5737
Cl -0.7588 -1.4261 -6.6258
Cl 0.6590 -0.3134 -4.3515
H 1.4789 -1.7526 -6.0019
C 0.8869 -5.3721 5.1367
Cl 0.6835 -6.9376 5.9471
Cl -0.4554 -5.0533 4.0384
Cl 1.0357 -4.0767 6.3231
H 1.8005 -5.4080 4.5561
C 0.4459 10.0921 0.3602
Cl 2.1703 10.3179 0.0656
Cl 0.1431 9.7568 2.0632
Cl -0.4670 11.5138 -0.1722
H 0.1130 9.2373 -0.2175
C -3.8894 -1.3646 -9.5346
Cl -2.1692 -1.5080 -9.9060
Cl -4.8442 -2.4192 -10.5821
Cl -4.1976 -1.7301 -7.8370
H -4.1906 -0.3416 -9.7203
C 5.3546 -3.3287 -0.3333
Cl 4.3379 -3.5047 1.0971
Cl 5.8575 -4.9143 -0.9374
Cl 4.5111 -2.4271 -1.5897
H 6.2417 -2.7748 -0.0538
C 5.3119 -8.6179 -1.2403
Cl 3.9003 -8.2429 -2.2273
Cl 5.2457 -10.2861 -0.6635
Cl 6.8017 -8.3299 -2.1460
H 5.3072 -7.9607 -0.3792
C -7.1949 -1.0884 -4.4330
Cl -7.2668 -2.5762 -5.3857
Cl -8.4263 -1.0997 -3.1689
Cl -5.5870 -0.8703 -3.7267
H -7.3964 -0.2546 -5.0940
C -1.4145 -8.4854 1.9187
Cl -1.0381 -10.0895 1.2732
Cl -0.3175 -8.0710 3.2355
Cl -1.3430 -7.2711 0.6388
H -2.4230 -8.5078 2.3118

Forces on the atoms, in the same order (eV/Å):
C 0.0 -0.6 -0.6
Si -0.3 0.9 0.4
C 0.2 -0.2 -0.3
C -0.5 -0.4 -0.1
C 0.5 -0.5 1.2
C 0.4 0.4 -0.7
C 0.6 -0.6 0.2
C -0.9 0.4 0.0
C 1.0 -0.4 -0.4
C -0.4 0.3 0.2
C -0.5 1.1 -0.4
N 0.4 -0.3 0.5
C 0.2 -0.4 -0.6
C -0.4 -0.3 0.9
C 0.2 0.8 -0.4
C -0.8 -1.2 -0.9
O 0.8 0.7 0.9
O -0.6 0.6 0.6
C -0.1 -0.2 0.2
C -0.6 -0.5 0.2
C -0.1 -0.3 -0.1
C -0.5 -0.5 -0.4
C 0.1 0.2 -1.0
C 0.8 0.8 0.5
H 0.1 -0.1 0.2
H 0.0 0.2 0.4
H 0.1 0.0 -0.2
H 0.0 -0.3 0.1
H 0.0 0.1 0.2
H -0.1 0.2 0.0
H 0.0 -0.2 -0.3
H 0.0 0.2 -0.2
H -0.2 -0.1 -0.3
H 0.1 0.3 0.1
H -0.3 0.0 0.1
H -0.4 0.1 -0.1
H -0.3 0.1 -0.1
H 0.2 0.0 -0.1
H 0.3 0.0 0.1
H -0.1 0.1 -0.2
H 0.0 0.0 0.4
H -0.2 0.0 0.1
H -0.1 -0.1 0.2
H -0.2 -0.3 -0.2
H 0.5 -0.1 0.0
H 0.2 -0.5 0.1
H 0.1 0.3 0.1
H -0.2 0.1 -0.1
H 0.0 0.0 -0.3
H 0.3 -0.3 -0.2
H -0.2 -0.2 -0.3
H 0.1 -0.2 -0.1
H 0.1 -0.2 -0.2
H 0.2 0.1 0.1
H 1.3 0.4 1.3
H 0.3 0.1 0.1
H 0.0 0.0 0.3
H -0.1 -0.2 0.0
C 0.1 0.3 0.0
Cl -0.3 -0.2 0.3
Cl 0.0 0.1 -0.1
Cl 0.2 -0.5 0.2
H 0.0 0.0 0.0
C -0.1 0.1 0.2
Cl 0.0 0.0 -0.5
Cl 0.1 0.0 0.0
Cl 0.1 0.0 -0.1
H 0.0 0.0 0.0
C -0.2 0.1 0.0
Cl 0.1 0.2 0.1
Cl 0.1 0.5 0.1
Cl 0.0 0.0 0.0
H 0.0 0.0 0.0
C 0.1 -0.1 0.1
Cl 0.0 0.0 0.0
Cl -0.1 0.2 0.0
~~~

Outcome >
1